LDP Episode #54: Striking a Balance

These calculated crystals were left in the entry by mistake:
[1]
{
  "formula": "KHoMo2O8",
  "functional": "GGA+U",
  "state": "optimized geometry",
  "lattice_angstrom": [[5.377, -5.196, 0.000], [5.377, 5.196, 0.000], [-5.106, 0.000, 5.839]],
  "species": ["K", "K", "Ho", "Ho", "Mo", "Mo", "Mo", "Mo", "O", "O", "O", "O", "O", "O", "O", "O", "O", "O", "O", "O", "O", "O", "O", "O"],
  "fractional_positions": [[0.200, 0.800, 0.750], [0.800, 0.200, 0.250], [0.229, 0.771, 0.250], [0.771, 0.229, 0.750], [0.302, 0.304, 0.761], [0.304, 0.302, 0.261], [0.696, 0.698, 0.739], [0.698, 0.696, 0.239], [0.045, 0.206, 0.691], [0.066, 0.383, 0.123], [0.206, 0.045, 0.191], [0.231, 0.387, 0.560], [0.367, 0.586, 0.031], [0.383, 0.066, 0.623], [0.387, 0.231, 0.060], [0.414, 0.633, 0.469], [0.586, 0.367, 0.531], [0.613, 0.769, 0.940], [0.617, 0.934, 0.377], [0.633, 0.414, 0.969], [0.769, 0.613, 0.440], [0.794, 0.955, 0.809], [0.934, 0.617, 0.877], [0.955, 0.794, 0.309]],
  "magmom_total_mub_per_cell": 0.00,
  "ef_ev_per_atom": -2.5360
}

=====

[2]
{
  "formula": "LiNiP4O12",
  "functional": "GGA+U",
  "state": "optimized geometry",
  "lattice_angstrom": [[4.107, -5.779, 0.000], [4.107, 5.779, 0.000], [-0.073, 0.000, 9.549]],
  "species": ["Li", "Li", "Ni", "Ni", "P", "P", "P", "P", "P", "P", "P", "P", "O", "O", "O", "O", "O", "O", "O", "O", "O", "O", "O", "O", "O", "O", "O", "O", "O", "O", "O", "O", "O", "O", "O", "O"],
  "fractional_positions": [[0.155, 0.845, 0.750], [0.845, 0.155, 0.250], [0.108, 0.892, 0.250], [0.892, 0.108, 0.750], [0.195, 0.285, 0.476], [0.273, 0.626, 0.030], [0.285, 0.195, 0.976], [0.374, 0.727, 0.470], [0.626, 0.273, 0.530], [0.715, 0.805, 0.024], [0.727, 0.374, 0.970], [0.805, 0.715, 0.524], [0.081, 0.294, 0.605], [0.093, 0.148, 0.357], [0.129, 0.653, 0.137], [0.148, 0.093, 0.857], [0.235, 0.392, 0.022], [0.257, 0.712, 0.889], [0.288, 0.504, 0.407], [0.288, 0.743, 0.611], [0.294, 0.081, 0.105], [0.347, 0.871, 0.363], [0.392, 0.235, 0.522], [0.496, 0.712, 0.093], [0.504, 0.288, 0.907], [0.608, 0.765, 0.478], [0.653, 0.129, 0.637], [0.706, 0.919, 0.895], [0.712, 0.257, 0.389], [0.712, 0.496, 0.593], [0.743, 0.288, 0.111], [0.765, 0.608, 0.978], [0.852, 0.907, 0.143], [0.871, 0.347, 0.863], [0.907, 0.852, 0.643], [0.919, 0.706, 0.395]],
  "magmom_total_mub_per_cell": 6.00,
  "ef_ev_per_atom": -2.3701
}

=====

[3]
{
  "formula": "LiVO2",
  "functional": "GGA+U",
  "state": "optimized geometry",
  "lattice_angstrom": [[5.207, -2.990, 0.000], [5.207, 2.990, 0.000], [-1.577, 0.000, 4.826]],
  "species": ["Li", "Li", "Li", "Li", "V", "V", "V", "V", "O", "O", "O", "O", "O", "O", "O", "O"],
  "fractional_positions": [[0.123, 0.375, 0.250], [0.375, 0.123, 0.750], [0.625, 0.877, 0.250], [0.877, 0.625, 0.750], [0.121, 0.879, 0.250], [0.386, 0.614, 0.750], [0.614, 0.386, 0.250], [0.879, 0.121, 0.750], [0.016, 0.756, 0.506], [0.244, 0.984, 0.994], [0.254, 0.512, 0.003], [0.488, 0.746, 0.497], [0.512, 0.254, 0.503], [0.746, 0.488, 0.997], [0.756, 0.016, 0.006], [0.984, 0.244, 0.494]],
CanonBlogger show

Summary: The latest and greatest episode of the LDP Podcast is now live and available for download!  This week not one but two guests…special guest Jason Cate from the listening audience, and an established photographer in his own right, and Nicole Young returns to the show.  Here’s the show notes (and show for download)!  Enjoy the show, and thanks to everyone for their continued support and interest: 1.  Personal Work versus Client Work – What brings clients in is your own creative vision yet at the same time you also have to be able to recognize the client vision too…striking a balance there can be demanding and challenging.  There are several strategies to cope: 2.  Shooting versus Promotion/Marketing – We have to produce work to survive, but by the same token if we don’t tell others about the work we are producing, how can one even begin to survive without some measure of success.  Balancing the creative and business ends of photography is equally demanding and can take a pretty heavy toll if you’re not careful.  There are several approaches to take here as well: 3.  Capturing and creating photos and projects versus down time – With the internet, Twitter, Facebook cell phones, email, and everything assaulting us literally 24/7 – there has to be a way to balance personal time with work time.  In this case personal time means actually putting the camera down and spending time with family, friends, colleagues, and otherwise “unplugging” from the digital photography world.  Can we even afford to take these periods of downtime anymore?  Is it worth the risk of fading?  Things to consider when balancing personal and professional growth and development, and strategies to cope: 4.  Listener Q&A What’s the best way to deal with noise in photos?  I’ve heard several options out there ranging from using plugins in Lightroom, to layer masks in photoshop, while others just avoid high ISO at all costs. – Karen in New York Just getting started in photography and wondering if I can build a business in this market.  What are the pitfalls I should be wary of?  On that same note, would it be better to begin solo and keep things small to avoid getting in over my head or should I work with other photogs to defray costs while making larger projects available to the business? – Phil in Las Vegas Fast Track Photographer by Dane Sanders Everyone always talks a good game about lenses, but it’s tough to be taken seriously when people have better camera bodies than I do that have 1/10th the experience or knowledge. How do you deal with clients who have better gear than you? – Katherine in Milwaukee Co-Hosts: Nicole Young, Website Jason Cate, Website And, for those of you that listened, and are paying attention, you’ll know that Nicole has generously donated a copy of one of her latest books “Snapshots to Great Shots” for some lucky commenter.  So, leave your comments, thoughts, and/or feedback on the show here, and you’ll be automatically entered to win either her 60D or 7D book!  (We’ll know for sure which book it is hopefully later today – Monday)…